Monday, March 15, 2010

Cure Your Yeast Infection The All Natural Way by Sarah Summer Review

've sought after some of the present guides that are claiming they know how to assist people with regular yeast infections achieve permanent relief, but very few of them have the proven track record and details that are included in Sarah Summer's 12 Hour Cure for Yeast Infection.

After I read this guide in it's entirety, those doubts I previously possessed about drug-free yeast infection relief were almost completely demolished.

And what was nice to see was, rather than sharing old wives' tales and suppositions, this eBook is based on scientific research, facts and is written by a woman who is clearly knowledgeable on the subject.

Sarah Summer's 12 Hour Cure for Yeast Infection completely eliminates the belief that yeast infections are just a part of your life you have to deal with. Unlike other books that just list foods you need to stay away from, or give encouragement but no real assistance, this book has real usable information the anyone suffering from a yeast infection can put to use to get things settled down and manage to prevent more infections in the future.

For the full review on 12 Hour Cure for Yeast Infection, Check out: 12 Hour Cure for Yeast Infection Review

What you'll see in Sarah Summer's 12 Hour Cure for Yeast Infection is:

* A significant amount of details about all sorts of yeast infections, like thrush, vaginal infections, nail infections, and even diaper rash.

- Information regarding the prevention and treatment of yeast infections if you are pregnant

* And entire section that explains yeast infections, how to recognize one if you've got it, and solid details of other conditions that may look just like a yeast infection.

* Information on treatment options that are dangerous and should be stayed away from.

* A review of current, standard treatment recommendations, and also to information on holistic healing for yeast infections.

* Details regarding dietary changes that need to be addressed as well as foods to avoid.

* One entire chapter dedicated to the causes of yeast infections as well as guidelines on preventing future outbreaks.

* Discussions dealing with information related to conventional therapies, infections that can reoccur, and the natural cures that are available out there.

Details are included about the actual science of yeast infections, and the various forms that they can produce. With a more complete understanding of this, you will understand how natural and holistic healing methods function also.

Next to the article, the page also holds calculated crystals >
<<<
The following is a simulated powder XRD pattern of Na3FeO4. It was derived from a cell relaxed with PBE+U, using Cu Kα, 1.54184 Å.
Lines closer than 0.1° are merged.

Peak list (10 most intense, 15 to 90 degrees two-theta, most intense first)
20.47 deg, I = 100
35.12 deg, I = 57
32.46 deg, I = 46
33.57 deg, I = 42
41.86 deg, I = 40
44.11 deg, I = 26
21.64 deg, I = 22
60.65 deg, I = 21
37.87 deg, I = 17
40.06 deg, I = 16

Crystal structure
```
32
Lattice="7.0279 0.0000 0.0000 0.0000 8.2115 0.0000 0.0000 0.0000 7.4457" Properties=species:S:1:pos:R:3 pbc="T T T"
Na 0.3048 0.3033 1.7117
Na 0.3048 3.8024 1.7117
Na 1.2075 6.1587 3.3614
Na 2.3064 2.0529 7.0842
Na 3.2091 4.4091 5.4345
Na 3.2091 7.9082 5.4345
Na 3.8188 0.3033 2.0112
Na 3.8188 3.8024 2.0112
Na 4.7215 6.1587 0.3615
Na 5.8204 2.0529 4.0843
Na 6.7231 4.4091 5.7340
Na 6.7231 7.9082 5.7340
Fe 1.5229 6.1587 7.4218
Fe 1.9911 2.0529 3.6989
Fe 5.0368 6.1587 3.7468
Fe 5.5050 2.0529 0.0239
O 7.0272 2.0529 6.6104
O 0.0007 6.1587 0.8353
O 1.2622 0.5085 4.0597
O 1.2622 3.5973 4.0597
O 1.3956 6.1587 5.6653
O 2.1184 2.0529 1.9424
O 2.2518 4.6143 0.3368
O 2.2518 7.7030 0.3368
O 3.5133 2.0529 4.5582
O 3.5146 6.1587 2.8876
O 4.7762 0.5085 7.1089
O 4.7762 3.5973 7.1089
O 4.9095 6.1587 5.5033
O 5.6324 2.0529 1.7804
O 5.7657 4.6143 3.3860
O 5.7657 7.7030 3.3860
```

=====

The following is a simulated powder XRD pattern of Na3Fe5O9. It was derived from a cell relaxed with PBE+U, using Cu Kα, 1.54184 Å.
Lines closer than 0.1° are merged.

Peak list (10 most intense, 15 to 90 degrees two-theta, most intense first)
29.95 deg, I = 100
33.10 deg, I = 84
33.54 deg, I = 72
34.19 deg, I = 59
34.47 deg, I = 57
21.88 deg, I = 46
52.08 deg, I = 44
62.92 deg, I = 28
45.47 deg, I = 25
59.41 deg, I = 25

Crystal structure
```
34
Lattice="6.8243 -6.1450 0.0000 6.8243 6.1450 0.0000 -0.0582 0.0000 5.4121" Properties=species:S:1:pos:R:3 pbc="T T T"
Na 6.7807 5.0247 4.0591
Na 3.5244 0.9585 1.2774
Na 3.4953 -0.9585 3.9835
Na 10.0951 0.9585 1.4286
Na 10.0660 -0.9585 4.1347
Na 6.8097 -5.0247 1.3530
Fe 5.2290 3.9168 1.1636
Fe 4.8735 1.9699 3.8852
Fe 8.3905 3.9168 1.5424
Fe 6.8097 0.7853 1.3530
Fe 8.6878 1.9699 4.2329
Fe 4.9026 -1.9699 1.1792
Fe 6.7807 -0.7853 4.0591
Fe 5.1999 -3.9168 3.8697
Fe 8.7169 -1.9699 1.5269
Fe 8.3614 -3.9168 4.2485
O 4.9503 3.6738 4.6963
O 6.8097 4.9739 1.3530
O 3.0872 1.3157 3.6525
O 5.4930 2.2242 2.0600
O 8.6110 3.6738 3.4218
O 3.1163 -1.3157 0.9464
O 5.6548 0.6421 5.0285
O 8.1265 2.2242 0.6461
O 5.6839 -0.6421 2.3225
O 7.9066 0.6421 3.0896
O 5.4639 -2.2242 4.7660
O 7.9356 -0.6421 0.3835
O 10.4741 1.3157 4.4657
O 4.9794 -3.6738 1.9902
O 8.0974 -2.2242 3.3521
O 10.5032 -1.3157 1.7596
O 6.7807 -4.9739 4.0591
O 8.6401 -3.6738 0.7158
```

=====

The following is a simulated powder XRD pattern of Na4FeO5. It was derived from a cell relaxed with PBE+U, using Cu Kα, 1.54184 Å.
Lines closer than 0.1° are merged.

Peak list (10 most intense, 15 to 90 degrees two-theta, most intense first)
16.63 deg, I = 100
>>>

One of the things that's impressive is the length of time given to a discussion which deals with yeast infections associated with pregnancy. Ever section is identified so you can skip over ones that don't apply, but if you are pregnant and find this vital information is normally missed in other eBooks, or there isn't much information provided, you will definitely find it here.

(Someone pasted crystal structures at this point)
Computed XRD peak list
Compound: Ba4Np3S10
Radiation: Cu Ka
Structure: the PBE geometry in Alexandria
Intensities are scaled so that the largest is 100.

Structure:
```
data_Ba4Np3S10
_symmetry_space_group_name_H-M 'I 4/m m m'
_symmetry_Int_Tables_number 139
_symmetry_space_group_name_Hall '-I 4 2'
_cell_length_a 5.2146
_cell_length_b 5.2146
_cell_length_c 36.5309
_cell_angle_alpha 90.00
_cell_angle_beta 90.00
_cell_angle_gamma 90.00
loop_
_atom_site_label
_atom_site_type_symbol
_atom_site_fract_x
_atom_site_fract_y
_atom_site_fract_z
Ba1 Ba 0.0000 0.0000 0.0690
Ba2 Ba 0.0000 0.0000 0.2003
Np1 Np 0.0000 0.0000 0.3566
Np2 Np 0.0000 0.0000 0.5000
S1 S 0.0000 0.0000 0.2850
S2 S 0.0000 0.0000 0.4287
S3 S 0.0000 0.5000 0.0000
S4 S 0.0000 0.5000 0.1407
```

Top 6 peaks for 5° ≤ 2θ ≤ 70°, sorted by position:
| Position (°2θ) | I (rel.) | hkl |
| --- | --- | --- |
| 24.1 | 100 | 1 1 0 |
| 34.4 | 40 | 2 0 0 |
| 42.5 | 42 | 2 1 7 |
| 49.4 | 26 | 2 2 0 |
| 55.7 | 18 | 3 1 0 |
| 67.2 | 18 | 3 2 7 |

Computed XRD peak list
Compound: Tm4ThSc2
Radiation: Cu Ka
Structure: the PBE geometry in Alexandria
Intensities are scaled so that the largest is 100.

Structure:
```
data_Tm4ThSc2
_symmetry_space_group_name_H-M 'C m m e'
_symmetry_Int_Tables_number 67
_symmetry_space_group_name_Hall '-C 2a 2'
_cell_length_a 15.5158
_cell_length_b 15.5555
_cell_length_c 3.4573
_cell_angle_alpha 90.00
_cell_angle_beta 90.00
_cell_angle_gamma 90.00
loop_
_atom_site_label
_atom_site_type_symbol
_atom_site_fract_x
_atom_site_fract_y
_atom_site_fract_z
Tm1 Tm 0.1407 0.1092 0.0007
Th1 Th 0.0000 0.2500 0.5021
Sc1 Sc 0.0000 0.0000 0.5000
Sc2 Sc 0.2500 0.2500 0.5000
```

Top 6 peaks for 5° ≤ 2θ ≤ 70°, sorted by position:
| Position (°2θ) | I (rel.) | hkl |
| --- | --- | --- |
| 25.6 | 30 | 4 2 0 |
| 28.3 | 25 | 0 2 1 |
| 32.6 | 53 | 4 4 0 |
| 34.7 | 100 | 4 0 1 |
| 49.9 | 30 | 4 6 1 |
| 59.6 | 31 | 8 4 1 |

~~~~~

Structure and theoretical powder diffractogram of Y2Ti12Cu9O36 (the PBE geometry in the Materials Project; CuKα).
Neutral-atom scattering factors, no anomalous dispersion.

Cell and atoms:
a = 10.5005 Å, b = 10.5005 Å, c = 6.4478 Å
α = 90.00°, β = 90.00°, γ = 120.00°
Space group P-3 (No. 147)
Unique sites:
Y 0.3333 0.6667 0.3286
Ti 0.0000 0.0000 0.5000
Ti 0.0000 0.5000 0.5000
Ti 0.1582 0.3189 0.1635
Ti 0.3333 0.6667 0.8406
Cu 0.0000 0.5000 0.0000
Cu 0.1678 0.3356 0.6629
O 0.0174 0.1641 0.3294
O 0.0438 0.2686 0.9124
O 0.0767 0.4511 0.2505
O 0.1179 0.7076 0.4148
O 0.1763 0.5261 0.6470
O 0.1928 0.6835 0.0177

Top 12 peaks for 10 to 90 degrees two-theta, by intensity:
2theta  d [Å]  intensity
34.12  2.628  100
61.12  1.516  37
49.03  1.858  29
60.98  1.519  12
81.95  1.176  8
82.06  1.174  8
38.30  2.350  7
71.79  1.315  6
71.94  1.313  6
42.15  2.144  6
29.44  3.034  4
23.95  3.716  3

~~~~~

(1)
The following is a computed powder XRD pattern of CuPd2Br6. It was derived from a cell relaxed with PBE, using CuKα.
No peak broadening, texture or thermal motion is included.

For a person who is would like to alter their lifestyle fast in the interest of managing their body's yeast content naturally, it's easy to jump right to the chapter that goes into depth about dietary changes and holistic cures - but the eBook is full of other very important information that should also be reviewed.

Also some of the freebie bonuses come with this guide, accompanied with unlimited personal One-On-One support. Should you need further assistance with anything.

12 Hour Cure for Yeast Infection by Sarah Summer is essential for those who may have constant yeast infection ordeals. It contains actual information about preventing potential yeast infections in the future, as well as eliminating the troublesome symptoms you already are suffering through.

Just a reminder, that I have the full article of 12 Hour Cure for Yeast Infection, which you might wish to Check out: Sarah Summer 12 Hour Cure For Yeast Infection Review